instructions in the attached file

Part 1

Imagine you just finished an interview so as part of your Interview, you must send a thank you letter to the individual you interviewed with.

Write a thank you letter

Part 2

Find a job or internship (in legal studies) that is something you would be interested in applying to as a logical next step in your career progression. Maybe it's an internship, maybe it's your first job after graduation. You will then develop a personal marketing package which will include:

The position description of the job/internship you are “applying” for. This includes the job title, the description, the requirements, the qualifications, etc. (Hint: Print or save the description as soon as you find it so you don’t lose it if the position closes.)

A company analysis includes the following: the brands, products, or services in which this company specializes; the history of the organization; the profile of senior administration; the culture of the company; the qualities this company looks for in its hires; key divisions and departments of the company; total sales (if applicable); geographic locations; projected growth; and any press the company has received over the past five years. This is a deep dive.

A tailored resume specific to this job/internship. (You will be graded as if you were applying for the position. You will be graded down if you do not incorporate the feedback from your resume first draft assignment.) Upload as a single document. Which is provided for you in the attachment.

Unrelated to this entry: materials data:
Li2LaZn2Au2: relaxed, GGA-PBE.

Space-group type: No. 12
DOS at the Fermi energy (states/eV/f.u.): 3.01
Electronic total energy (Ry/atom): -0.225

Cell lengths 4.5488, 4.5426, 8.1621 Å; angles 106.59, 90.00, 120.05 degrees
Fractional positions:
Li1 0.1410 0.2819 0.4205
Li2 0.8590 0.7181 0.5795
La1 0.0000 0.0000 0.0000
Zn1 0.5686 0.1371 0.7071
Zn2 0.4314 0.8629 0.2929
Au1 0.7483 0.4967 0.2432
Au2 0.2517 0.5033 0.7568

=====

Entry 1:
PuAg2HgO8: optimized geometry, PBE-GGA.

a = 6.1132 Å, b = 6.1132 Å, c = 6.1132 Å
α = 113.16°, β = 113.16°, γ = 102.31°
Fractional positions:
Pu  0.0000  0.0000  0.0000
Ag  0.7500  0.2500  0.5000
Ag  0.5000  0.5000  0.0000
Hg  0.2500  0.7500  0.5000
O  0.3129  0.0325  0.2803
O  0.2790  0.4537  0.1747
O  0.2790  0.1043  0.8253
O  0.7522  0.0325  0.7197
O  0.8957  0.7210  0.1747
O  0.9675  0.2478  0.2803
O  0.9675  0.6871  0.7197
O  0.5463  0.7210  0.8253

Values from the calculation:
* DFT total energy: -5.575 eV per atom

=====

Entry 2:
PuAg2HgO6: optimized geometry, PBE-GGA.

a = 7.1753 Å, b = 7.3887 Å, c = 7.3887 Å
α = 69.63°, β = 64.70°, γ = 64.70°
Fractional positions:
Pu  0.2500  0.2499  0.7501
Pu  0.7500  0.7501  0.2499
Ag  0.2499  0.7501  0.7498
Ag  0.2501  0.2502  0.2499
Ag  0.7501  0.2499  0.2502
Ag  0.7499  0.7498  0.7501
Hg  0.2500  0.7500  0.2500
Hg  0.7500  0.2500  0.7500
O  0.0882  0.1251  0.6251
O  0.4118  0.3749  0.8749
O  0.9118  0.8749  0.3749
O  0.5882  0.6251  0.1251
O  0.5558  0.0216  0.1932
O  0.9442  0.8068  0.9784
O  0.4442  0.9784  0.8068
O  0.0558  0.1932  0.0216
O  0.0557  0.5215  0.6933
O  0.4443  0.3067  0.4785
O  0.9443  0.4785  0.3067
O  0.5557  0.6933  0.5215

Values from the calculation:
* DFT total energy: -6.054 eV per atom

=====

Entry 3:
RbAgHgO2: optimized geometry, PBE-GGA.

a = 5.0338 Å, b = 6.7562 Å, c = 7.3397 Å
α = 117.40°, β = 90.00°, γ = 90.00°
Fractional positions:
Rb  0.2626  0.7500  0.5000
Rb  0.7374  0.2500  0.5000
Ag  0.0000  0.0000  0.0000
Ag  0.0000  0.5000  0.0000
Hg  0.5000  0.7500  0.0000
Hg  0.5000  0.2500  0.0000
O  0.6847  0.8951  0.7901
O  0.6847  0.6049  0.2099
O  0.3153  0.3951  0.7901
O  0.3153  0.1049  0.2099

Values from the calculation:
* DFT total energy: -3.318 eV per atom

=====

Entry 4:
Rb8AgHg2O: optimized geometry, PBE-GGA.

a = 8.5321 Å, b = 8.1593 Å, c = 9.6136 Å
α = 89.54°, β = 90.33°, γ = 86.10°
Fractional positions:
Rb  0.1343  0.7828  0.2056
Rb  0.7304  0.8293  0.9976
Rb  0.8623  0.2168  0.2017
Rb  0.8657  0.2172  0.7944
Rb  0.2696  0.1707  0.0024
Rb  0.1377  0.7832  0.7983
Rb  0.6493  0.7274  0.4992
Rb  0.3507  0.2726  0.5008
Ag  0.0000  0.0000  0.5000
Hg  0.5019  0.4977  0.8438
Hg  0.4981  0.5023  0.1562
O  0.0000  0.0000  0.0000

Values from the calculation:
* DFT total energy: -1.631 eV per atom

=====

Entry 5:
Rb6Ag2HgO: optimized geometry, PBE-GGA.

a = 8.8218 Å, b = 10.9230 Å, c = 10.3104 Å
α = 90.00°, β = 61.61°, γ = 90.00°
Fractional positions:
Rb  0.2142  0.6693  0.0579
Rb  0.7142  0.8307  0.5579
Rb  0.7858  0.3307  0.9421

A tailored cover letter specific to this job/internship. (Again, to be graded as if you were applying.) Upload as a single document.

One-Page Reflection: What have you learned as a result of your research? Describe what impact this research has had on your thoughts and feelings about choosing this profession. Did it confirm your perceptions of the work or were there any surprises? Did it raise any concerns? Did it deepen your desire to pursue this goal?


Check your grammar, spelling, language, and writing style.

Formatting for the company analysis and reflection should be double-spaced and size 12 font with a reasonable header.

NO PICTURES of any of the above-mentioned information.

This assignment will be considered the culmination of all we have learned, and professionalism will count towards the final grade of your paper.

Upload your resume and cover letter separately so your formatting doesn't shift (you will be graded on formatting). Upload your job description, company research, and reflection as one document. For a total of three documents to be uploaded.